**Contents:**
+++
(1)
60
Properties=species:S:1:pos:R:3 method="wB97M-V/def2-TZVPD" relative_energy_kcal_mol=3.9 homo_lumo_gap_ev=8.59 smiles=Cc1cc(F)ccc1N1CCC(N2CCN(C(C)C)[C@H](CCO)C2)CC1 e_homo_ev=-7.9
H -2.42 -0.45 4.90
C 2.63 -2.71 -4.71
H 1.94 -0.91 -6.66
C -0.05 -0.64 1.55
H 0.67 0.17 1.53
H 4.49 0.12 -1.31
C -2.83 3.37 5.01
C -2.53 0.62 4.92
H 4.65 -1.24 -0.17
H -1.27 -0.71 -2.59
C 1.94 -0.39 -2.21
H -1.02 1.51 0.13
H -3.25 -0.05 1.51
O 3.35 0.26 0.41
H 2.53 0.45 -2.60
H 3.30 -2.75 -5.57
C -2.54 0.79 1.47
C -1.69 0.66 0.20
C -0.97 -0.46 2.76
H 3.18 -3.05 -3.83
H -2.93 4.44 5.07
H -1.13 3.14 2.13
N -0.03 -0.91 -0.88
H 0.95 0.16 -5.65
H 0.49 -1.58 1.64
H -2.73 3.89 2.06
C -2.33 2.78 3.85
H 1.81 -3.40 -4.88
C -0.69 -1.47 -2.04
H -1.49 4.59 3.09
H 0.27 0.93 -1.90
H -2.34 0.66 -0.68
H -3.12 1.71 1.44
H 3.38 -2.01 -2.02
H 1.29 0.65 -0.45
H -0.13 -2.43 -3.87
C -1.89 3.65 2.71
C 1.32 -0.86 -5.77
H 2.25 -1.85 -0.65
H 2.99 -0.61 -4.45
C 3.94 -0.52 -0.61
C -3.01 1.21 6.07
H -1.66 -1.32 2.82
H -0.37 -0.43 3.68
C 2.12 -1.27 -4.53
C 2.86 -1.30 -1.37
C 0.36 -2.06 -2.97
H 0.85 -2.91 -2.46
C -2.20 1.38 3.80
C 0.83 0.18 -1.32
N -1.68 0.79 2.63
C -0.88 -0.64 0.26
H 0.46 -1.51 -5.92
H 4.05 0.71 0.90
H -3.27 0.63 6.94
N 1.30 -1.03 -3.35
C -3.17 2.58 6.09
H -1.58 -1.48 0.32
H -1.37 -2.26 -1.72
F -3.65 3.18 7.21

---

(2)
75
Properties=species:S:1:pos:R:3 method="wB97M-V/def2-TZVPD" homo_lumo_gap_ev=8.70 smiles="CC(=O)N(C)[PH3][C@H](I)[C@@H](C)I.O=C1OCCO1.O=C1OCCO1.O=C1OCCO1.O=C1OCCO1.O=C1OCCO1" e_homo_ev=-8.5
I -1.78 -3.30 -4.55
H 1.00 0.18 -0.72
H -4.10 -2.77 -2.90
H -4.33 -0.91 -8.65
O 3.75 -1.17 -3.74
H -3.95 -2.07 4.95
C -4.31 0.87 5.97
O -4.75 0.22 7.06
H 0.54 -1.75 -3.98
N 1.89 -0.62 -2.48
H 2.94 -2.30 -0.79
O 2.16 -3.40 2.49
O 3.95 3.15 1.47
P 0.38 -1.59 -2.60
H 0.84 -2.58 -1.71
O 4.77 3.85 -0.48
C 5.06 -1.85 3.33
O -0.38 2.42 4.12
H -2.32 2.76 3.51
C 3.65 4.55 1.40
H 2.43 1.04 -1.27
I -1.83 -1.23 0.01
H -5.76 -1.48 6.45
H -4.59 -1.55 -1.73
H -0.67 0.77 1.86
H -1.81 2.00 1.26
C -1.06 1.78 2.02
H 2.64 4.73 1.78
C -4.45 -0.22 -7.83
C -3.84 -2.30 -1.97
C -1.35 -2.53 -2.59
H -0.30 -0.42 -2.20
O 5.26 1.78 0.27
H -3.88 -3.04 -1.18
H 2.89 4.67 -0.64
H -1.26 -3.40 -1.95
H 4.18 5.83 -0.29
H 4.37 5.09 2.01
O -3.30 -0.12 -4.63
O 0.02 2.72 1.95
H 5.86 -2.58 3.16
C 4.72 2.83 0.41
C -3.73 -1.30 5.67
C -3.47 0.94 -7.86
C -4.76 -1.19 6.78
C 3.10 -1.36 -2.72
H -1.95 1.07 3.89
O 3.64 -1.99 1.55
O 3.87 -2.56 3.68
H 4.58 -2.14 -1.40
O -4.34 2.05 5.82
H 5.36 -1.19 4.14
H 2.59 -0.49 -0.46
H 5.45 -1.00 1.35
C 1.98 0.05 -1.18
C -1.56 1.98 3.44
C 4.65 -1.12 2.07
H -2.72 -1.44 6.06
H -2.51 0.66 -8.31
H -4.50 -1.75 7.67
H 4.20 -0.15 2.28
H -2.51 -0.71 -2.55
O -3.25 1.19 -6.46
C 3.55 -2.36 -1.68
O 1.45 3.57 3.46
C 0.46 2.96 3.20
O -3.81 0.00 5.06
C 3.12 -2.72 2.57
H -5.49 0.12 -7.79
H -3.86 1.83 -8.34
C -3.54 0.05 -5.78
C 3.81 4.83 -0.08
O -4.13 -0.85 -6.59
C -2.46 -1.67 -2.03
H 3.48 -3.36 -2.07

---

(3)
60
Properties=species:S:1:pos:R:3 method="wB97M-V/def2-TZVPD" relative_energy_kcal_mol=491.1 homo_lumo_gap_ev=8.28 e_homo_ev=-7.6
C 2.72 3.80 1.11
C -4.17 -1.42 -4.16
C -4.60 -3.12 -2.86
C 2.43 2.11 2.48
C -0.65 -1.71 -1.17
C 1.76 2.15 -0.08
H 0.21 -2.57 1.99
H 1.93 1.03 4.13
H 3.09 3.74 4.55
C 0.27 -4.12 0.68
H 0.06 -4.37 -0.41
O 3.12 5.18 1.07
H 2.10 -0.73 1.19
C 1.86 1.44 1.31
C 0.29 -1.80 -0.14
H 3.46 1.67 4.39
C -3.22 -3.04 -1.87
N -1.90 -1.35 -0.86
H -5.34 -2.82 -2.44
H 1.13 1.54 -0.52
H -4.76 -0.82 -3.70
O 1.83 -4.31 0.73
H -3.71 -3.34 -0.96
H 2.16 -3.88 1.48
H -3.82 -1.07 -1.54
H -2.52 -0.08 -3.37
C 3.72 3.93 3.47
H -0.10 -4.89 1.42
C -2.92 -1.09 -3.16
C -2.88 -1.62 -2.03
H 4.76 3.47 3.74
H 0.82 -0.30 2.36
C 2.14 3.36 -0.01
H 3.49 7.08 0.29
H 3.31 5.58 -0.73
H 2.00 6.07 -0.23
H -2.77 0.40 -0.29
H -1.27 -0.32 1.48
H 1.33 -1.96 -0.44
C -0.25 -2.61 0.83
H -1.83 -1.67 -3.57
C 3.06 3.23 2.27
H -0.42 -2.94 -1.80
N 0.35 -0.27 0.38
H 3.09 0.05 3.47
H -1.44 0.56 -1.46
C -1.82 0.14 -0.33
H -0.12 -1.27 -1.99
C 2.97 6.03 0.02
H 3.71 4.99 3.23
C 1.28 0.02 1.29
C 2.76 1.22 3.46
+++

**To do:**
The reader should print the block further up verbatim.

**Worked solution:**
(1)
60
Properties=species:S:1:pos:R:3 method="wB97M-V/def2-TZVPD" relative_energy_kcal_mol=3.9 homo_lumo_gap_ev=8.59 smiles=Cc1cc(F)ccc1N1CCC(N2CCN(C(C)C)[C@H](CCO)C2)CC1 e_homo_ev=-7.9
H -2.42 -0.45 4.90
C 2.63 -2.71 -4.71
H 1.94 -0.91 -6.66
C -0.05 -0.64 1.55
H 0.67 0.17 1.53
H 4.49 0.12 -1.31
C -2.83 3.37 5.01
C -2.53 0.62 4.92
H 4.65 -1.24 -0.17
H -1.27 -0.71 -2.59
C 1.94 -0.39 -2.21
H -1.02 1.51 0.13
H -3.25 -0.05 1.51
O 3.35 0.26 0.41
H 2.53 0.45 -2.60
H 3.30 -2.75 -5.57
C -2.54 0.79 1.47
C -1.69 0.66 0.20
C -0.97 -0.46 2.76
H 3.18 -3.05 -3.83
H -2.93 4.44 5.07
H -1.13 3.14 2.13
N -0.03 -0.91 -0.88
H 0.95 0.16 -5.65
H 0.49 -1.58 1.64
H -2.73 3.89 2.06
C -2.33 2.78 3.85
H 1.81 -3.40 -4.88
C -0.69 -1.47 -2.04
H -1.49 4.59 3.09
H 0.27 0.93 -1.90
H -2.34 0.66 -0.68
H -3.12 1.71 1.44
H 3.38 -2.01 -2.02
H 1.29 0.65 -0.45
H -0.13 -2.43 -3.87
C -1.89 3.65 2.71
C 1.32 -0.86 -5.77
H 2.25 -1.85 -0.65
H 2.99 -0.61 -4.45
C 3.94 -0.52 -0.61
C -3.01 1.21 6.07
H -1.66 -1.32 2.82
H -0.37 -0.43 3.68
C 2.12 -1.27 -4.53
C 2.86 -1.30 -1.37
C 0.36 -2.06 -2.97
H 0.85 -2.91 -2.46
C -2.20 1.38 3.80
C 0.83 0.18 -1.32
N -1.68 0.79 2.63
C -0.88 -0.64 0.26
H 0.46 -1.51 -5.92
H 4.05 0.71 0.90
H -3.27 0.63 6.94
N 1.30 -1.03 -3.35
C -3.17 2.58 6.09
H -1.58 -1.48 0.32
H -1.37 -2.26 -1.72
F -3.65 3.18 7.21

---

(2)
75
Properties=species:S:1:pos:R:3 method="wB97M-V/def2-TZVPD" homo_lumo_gap_ev=8.70 smiles="CC(=O)N(C)[PH3][C@H](I)[C@@H](C)I.O=C1OCCO1.O=C1OCCO1.O=C1OCCO1.O=C1OCCO1.O=C1OCCO1" e_homo_ev=-8.5
I -1.78 -3.30 -4.55
H 1.00 0.18 -0.72
H -4.10 -2.77 -2.90
H -4.33 -0.91 -8.65
O 3.75 -1.17 -3.74
H -3.95 -2.07 4.95
C -4.31 0.87 5.97
O -4.75 0.22 7.06
H 0.54 -1.75 -3.98
N 1.89 -0.62 -2.48
H 2.94 -2.30 -0.79
O 2.16 -3.40 2.49
O 3.95 3.15 1.47
P 0.38 -1.59 -2.60
H 0.84 -2.58 -1.71
O 4.77 3.85 -0.48
C 5.06 -1.85 3.33
O -0.38 2.42 4.12
H -2.32 2.76 3.51
C 3.65 4.55 1.40
H 2.43 1.04 -1.27
I -1.83 -1.23 0.01
H -5.76 -1.48 6.45
H -4.59 -1.55 -1.73
H -0.67 0.77 1.86
H -1.81 2.00 1.26
C -1.06 1.78 2.02
H 2.64 4.73 1.78
C -4.45 -0.22 -7.83
C -3.84 -2.30 -1.97
C -1.35 -2.53 -2.59
H -0.30 -0.42 -2.20
O 5.26 1.78 0.27
H -3.88 -3.04 -1.18
H 2.89 4.67 -0.64
H -1.26 -3.40 -1.95
H 4.18 5.83 -0.29
H 4.37 5.09 2.01
O -3.30 -0.12 -4.63
O 0.02 2.72 1.95
H 5.86 -2.58 3.16
C 4.72 2.83 0.41
C -3.73 -1.30 5.67
C -3.47 0.94 -7.86
C -4.76 -1.19 6.78
C 3.10 -1.36 -2.72
H -1.95 1.07 3.89
O 3.64 -1.99 1.55
O 3.87 -2.56 3.68
H 4.58 -2.14 -1.40
O -4.34 2.05 5.82
H 5.36 -1.19 4.14
H 2.59 -0.49 -0.46
H 5.45 -1.00 1.35
C 1.98 0.05 -1.18
C -1.56 1.98 3.44
C 4.65 -1.12 2.07
H -2.72 -1.44 6.06
H -2.51 0.66 -8.31
H -4.50 -1.75 7.67
H 4.20 -0.15 2.28
H -2.51 -0.71 -2.55
O -3.25 1.19 -6.46
C 3.55 -2.36 -1.68
O 1.45 3.57 3.46
C 0.46 2.96 3.20
O -3.81 0.00 5.06
C 3.12 -2.72 2.57
H -5.49 0.12 -7.79
H -3.86 1.83 -8.34
C -3.54 0.05 -5.78
C 3.81 4.83 -0.08
O -4.13 -0.85 -6.59
C -2.46 -1.67 -2.03
H 3.48 -3.36 -2.07

---

(3)
60
Properties=species:S:1:pos:R:3 method="wB97M-V/def2-TZVPD" relative_energy_kcal_mol=491.1 homo_lumo_gap_ev=8.28 e_homo_ev=-7.6
C 2.72 3.80 1.11
C -4.17 -1.42 -4.16
C -4.60 -3.12 -2.86
C 2.43 2.11 2.48
C -0.65 -1.71 -1.17
C 1.76 2.15 -0.08
H 0.21 -2.57 1.99
H 1.93 1.03 4.13
H 3.09 3.74 4.55
C 0.27 -4.12 0.68
H 0.06 -4.37 -0.41
O 3.12 5.18 1.07
H 2.10 -0.73 1.19
C 1.86 1.44 1.31
C 0.29 -1.80 -0.14
H 3.46 1.67 4.39
C -3.22 -3.04 -1.87
N -1.90 -1.35 -0.86
H -5.34 -2.82 -2.44
H 1.13 1.54 -0.52
H -4.76 -0.82 -3.70
O 1.83 -4.31 0.73
H -3.71 -3.34 -0.96
H 2.16 -3.88 1.48
H -3.82 -1.07 -1.54
H -2.52 -0.08 -3.37
C 3.72 3.93 3.47
H -0.10 -4.89 1.42
C -2.92 -1.09 -3.16
C -2.88 -1.62 -2.03
H 4.76 3.47 3.74
H 0.82 -0.30 2.36
C 2.14 3.36 -0.01
H 3.49 7.08 0.29
H 3.31 5.58 -0.73
H 2.00 6.07 -0.23
H -2.77 0.40 -0.29
H -1.27 -0.32 1.48
H 1.33 -1.96 -0.44
C -0.25 -2.61 0.83
H -1.83 -1.67 -3.57
C 3.06 3.23 2.27
H -0.42 -2.94 -1.80
N 0.35 -0.27 0.38
H 3.09 0.05 3.47
H -1.44 0.56 -1.46
C -1.82 0.14 -0.33
H -0.12 -1.27 -1.99
C 2.97 6.03 0.02
H 3.71 4.99 3.23
C 1.28 0.02 1.29
C 2.76 1.22 3.46